Request.
What is needed: copy the calculation results underneath without altering anything.

Listing.
-- begin --
i.
VASP calculation (PBE-GGA) on Ta2FeCl after structural relaxation.

a = 2.9907 Å, b = 3.0045 Å, c = 7.4693 Å
α = 90.00°, β = 90.00°, γ = 90.00°
Closest atoms and distances in Å follow each position.
Fractional coordinates of all 4 atoms:
Fe: 0.5000 0.7500 0.7500  8 Ta 2.62
Ta: 0.0000 0.2499 0.5446  4 Fe 2.62, 2 Cl 2.66
Cl: 0.5000 0.2500 0.2500  4 Ta 2.66
Ta: 0.0000 0.2501 0.9554  4 Fe 2.62, 2 Cl 2.66

Summary:
Symmetry: Pmmm (47)
Density, g cm⁻³: 11.2

=====

ii.
VASP calculation (PBE-GGA) on Ta2FeCl after structural relaxation.

a = 4.4270 Å, b = 4.4270 Å, c = 4.4270 Å
α = 60.00°, β = 60.00°, γ = 60.00°
Closest atoms and distances in Å follow each position.
Fractional coordinates of all 4 atoms:
Ta: 0.7500 0.7500 0.7500  4 Fe 2.71, 4 Cl 2.71
Ta: 0.2500 0.2500 0.2500  4 Fe 2.71, 4 Cl 2.71
Cl: 0.0000 0.0000 0.0000  8 Ta 2.71
Fe: 0.5000 0.5000 0.5000  8 Ta 2.71

Summary:
Symmetry: Fm-3m (225)
Density, g cm⁻³: 12.3

=====

Stability check: which of them is most stable? i.

~~~~~

Below is crystalline Zr4Tl3 at its relaxed geometry, with properties calculated at the PBE level.

```
7
Lattice="11.541 -1.679 0.000 11.541 1.679 0.000 -0.770 0.000 4.153" Properties=species:S:1:pos:R:3 pbc="T T T"
Zr 1.537 0.000 0.285
Zr 4.719 0.000 0.878
Zr 17.593 0.000 3.274
Zr 20.775 0.000 3.868
Tl 7.927 0.000 1.475
Tl 11.156 0.000 2.076
Tl 14.386 0.000 2.678
```

ΔH_f (0 K) = -76 meV per atom
ΔE to the lowest computed polymorph = 0 meV per atom


Below is crystalline Zr7Tl3 at its relaxed geometry, with properties calculated at the PBE level.

```
10
Lattice="8.188 -2.249 0.000 8.188 2.249 0.000 -1.479 0.000 6.186" Properties=species:S:1:pos:R:3 pbc="T T T"
Zr 0.000 0.000 0.000
Zr 2.431 0.000 3.732
Zr 6.153 0.000 1.221
Zr 5.652 0.000 4.322
Zr 9.245 0.000 1.864
Zr 8.744 0.000 4.965
Zr 12.466 0.000 2.454
Tl -0.740 0.000 3.093
Tl 3.010 0.000 0.692
Tl 11.887 0.000 5.494
```

ΔH_f (0 K) = -73 meV per atom


Below is crystalline Zr3Tl at its relaxed geometry, with properties calculated at the PBE level.

```
4
Lattice="3.324 0.000 0.000 0.000 4.127 0.000 0.000 0.000 6.694" Properties=species:S:1:pos:R:3 pbc="T T T"
Zr 0.000 0.000 0.000
Zr 1.662 2.063 1.670
Zr 1.662 2.063 5.023
Tl 0.000 0.000 3.347
```

ΔH_f (0 K) = -64 meV per atom


Number 1: density 10.091 g/cm3. Number 2: density 9.123 g/cm3. Number 3: density 8.646 g/cm3.
-- stop --

Solution.
i.
VASP calculation (PBE-GGA) on Ta2FeCl after structural relaxation.

a = 2.9907 Å, b = 3.0045 Å, c = 7.4693 Å
α = 90.00°, β = 90.00°, γ = 90.00°
Closest atoms and distances in Å follow each position.
Fractional coordinates of all 4 atoms:
Fe: 0.5000 0.7500 0.7500  8 Ta 2.62
Ta: 0.0000 0.2499 0.5446  4 Fe 2.62, 2 Cl 2.66
Cl: 0.5000 0.2500 0.2500  4 Ta 2.66
Ta: 0.0000 0.2501 0.9554  4 Fe 2.62, 2 Cl 2.66

Summary:
Symmetry: Pmmm (47)
Density, g cm⁻³: 11.2

=====

ii.
VASP calculation (PBE-GGA) on Ta2FeCl after structural relaxation.

a = 4.4270 Å, b = 4.4270 Å, c = 4.4270 Å
α = 60.00°, β = 60.00°, γ = 60.00°
Closest atoms and distances in Å follow each position.
Fractional coordinates of all 4 atoms:
Ta: 0.7500 0.7500 0.7500  4 Fe 2.71, 4 Cl 2.71
Ta: 0.2500 0.2500 0.2500  4 Fe 2.71, 4 Cl 2.71
Cl: 0.0000 0.0000 0.0000  8 Ta 2.71
Fe: 0.5000 0.5000 0.5000  8 Ta 2.71

Summary:
Symmetry: Fm-3m (225)
Density, g cm⁻³: 12.3

=====

Stability check: which of them is most stable? i.

~~~~~

Below is crystalline Zr4Tl3 at its relaxed geometry, with properties calculated at the PBE level.

```
7
Lattice="11.541 -1.679 0.000 11.541 1.679 0.000 -0.770 0.000 4.153" Properties=species:S:1:pos:R:3 pbc="T T T"
Zr 1.537 0.000 0.285
Zr 4.719 0.000 0.878
Zr 17.593 0.000 3.274
Zr 20.775 0.000 3.868
Tl 7.927 0.000 1.475
Tl 11.156 0.000 2.076
Tl 14.386 0.000 2.678
```

ΔH_f (0 K) = -76 meV per atom
ΔE to the lowest computed polymorph = 0 meV per atom


Below is crystalline Zr7Tl3 at its relaxed geometry, with properties calculated at the PBE level.

```
10
Lattice="8.188 -2.249 0.000 8.188 2.249 0.000 -1.479 0.000 6.186" Properties=species:S:1:pos:R:3 pbc="T T T"
Zr 0.000 0.000 0.000
Zr 2.431 0.000 3.732
Zr 6.153 0.000 1.221
Zr 5.652 0.000 4.322
Zr 9.245 0.000 1.864
Zr 8.744 0.000 4.965
Zr 12.466 0.000 2.454
Tl -0.740 0.000 3.093
Tl 3.010 0.000 0.692
Tl 11.887 0.000 5.494
```

ΔH_f (0 K) = -73 meV per atom


Below is crystalline Zr3Tl at its relaxed geometry, with properties calculated at the PBE level.

```
4
Lattice="3.324 0.000 0.000 0.000 4.127 0.000 0.000 0.000 6.694" Properties=species:S:1:pos:R:3 pbc="T T T"
Zr 0.000 0.000 0.000
Zr 1.662 2.063 1.670
Zr 1.662 2.063 5.023
Tl 0.000 0.000 3.347
```

ΔH_f (0 K) = -64 meV per atom


Number 1: density 10.091 g/cm3. Number 2: density 9.123 g/cm3. Number 3: density 8.646 g/cm3.